Chapter 9 Flashcards
The number of participants or sample size in a qualitative study is adequate when which of the following occurs?
Saturation of data is achieved, and additional subjects provide no new information.
Which of the following would the nurse would not consider when critiquing the adequacy of a sample?
Possibility of a type I error
Nurse researchers wanted to study the characteristics of parents who have abused their children. They initially identified parents who consented to participate in the study. Next, they asked these subjects to identify other individuals who might participate in the study. What sampling method was used in this study?
-- begin --
# 1
Material: CoIrRh2O8
Method: DFT, PBE+U
State: relaxed

The structure in extended XYZ format:
```
12
Lattice="3.1963 -3.2026 0.0000 3.1963 3.2026 0.0000 0.0000 0.0000 6.2678" Properties=species:S:1:pos:R:3 pbc="T T T"
Co 0.0000 0.0000 0.0000
Ir 0.0000 0.0000 3.1339
Rh 3.1963 0.0000 1.5509
Rh 3.1963 0.0000 4.7169
O 3.1963 1.9714 1.5977
O 3.1963 1.9714 4.6701
O 1.9330 0.0000 3.1339
O 1.9441 0.0000 0.0000
O 4.4485 0.0000 0.0000
O 4.4596 0.0000 3.1339
O 3.1963 -1.9714 1.5977
O 3.1963 -1.9714 4.6701
```

Calculated values
- E (Ry per atom) = -0.4763
- space-group type = No. 65
- crystal system = orthorhombic
- ρ (Mg/m³) = 7.6

# 2
Material: CoIrRh2O6
Method: DFT, PBE+U
State: relaxed

The structure in extended XYZ format:
```
10
Lattice="2.6226 1.5141 4.5949 -2.6226 1.5141 4.5949 0.0000 -3.0283 4.5949" Properties=species:S:1:pos:R:3 pbc="T T T"
Co 0.0000 0.0000 0.0000
Ir 0.0000 0.0000 6.7298
Rh 0.0000 0.0000 4.0249
Rh 0.0000 0.0000 11.0047
O -1.5948 -0.0106 5.4415
O -0.9910 -1.4818 7.7000
O 0.8065 -1.3759 5.4415
O -0.7878 1.5992 7.7000
O 0.7883 1.3864 5.4415
O 1.7788 -0.1174 7.7000
```

Calculated values
- E (Ry per atom) = -0.4816
- space-group type = No. 146
- crystal system = trigonal
- ρ (Mg/m³) = 8.4

# 3
Material: CoSb2IrO
Method: DFT, PBE+U
State: relaxed

The structure in extended XYZ format:
```
5
Lattice="4.7506 0.0000 0.0000 0.0000 4.7506 0.0000 0.0000 0.0000 4.0501" Properties=species:S:1:pos:R:3 pbc="T T T"
Co 0.0000 0.0000 0.0000
Sb 0.0000 2.3753 2.0250
Sb 2.3753 0.0000 2.0250
Ir 2.3753 2.3753 0.0000
O 2.3753 2.3753 2.0250
```

Calculated values
- E (Ry per atom) = -0.3655
- space-group type = No. 123
- crystal system = tetragonal
- ρ (Mg/m³) = 9.3

# 4
Material: CoSbIrO6
Method: DFT, PBE+U
State: relaxed

The structure in extended XYZ format:
```
18
Lattice="5.2381 0.0000 0.0000 -2.6190 4.5363 0.0000 0.0000 0.0000 8.8157" Properties=species:S:1:pos:R:3 pbc="T T T"
Co 0.0000 0.0000 0.0000
Co 0.0000 0.0000 4.4078
Sb 0.0000 3.0242 2.2039
Sb 2.6190 1.5121 6.6117
Ir 0.0000 3.0242 6.6117
Ir 2.6190 1.5121 2.2039
O -0.8838 1.5886 5.5583
O -1.6852 2.9766 7.6652
O 0.8838 1.5886 7.6652
O -0.8013 4.5074 5.5583
O 1.8177 0.0289 1.1505
O 0.9339 1.5597 3.2574
O 1.6852 2.9766 5.5583
O 0.8013 4.5074 7.6652
O 3.4204 0.0289 3.2574
O 1.7352 2.9477 1.1505
O 4.3042 1.5597 1.1505
O 3.5029 2.9477 3.2574
```

Calculated values
- E (Ry per atom) = -0.4633
- space-group type = No. 163
- crystal system = trigonal
- ρ (Mg/m³) = 7.4

# 5
Material: Co2SbIrO6
Method: DFT, PBE+U
State: relaxed

The structure in extended XYZ format:
```
10
Lattice="2.6453 1.5273 4.6320 -2.6453 1.5273 4.6320 0.0000 -3.0545 4.6320" Properties=species:S:1:pos:R:3 pbc="T T T"
Co 0.0000 0.0000 0.0000
Co 0.0000 0.0000 6.9179
Sb 0.0000 0.0000 10.9817
Ir 0.0000 0.0000 4.0767
O -0.8491 -1.3752 5.3981
O -1.8987 -0.1198 7.6918
O -0.7665 1.4229 5.3980
O 1.0531 -1.5845 7.6918
O 1.6155 -0.0477 5.3980
O 0.8457 1.7042 7.6918
```

Calculated values
- E (Ry per atom) = -0.4621
-- stop --
Match the definition with the types of sampling. Sample selection ensures that each element has a chance to be selected for the study.
Probability sampling
Match the definitions with the types of sampling. Expected difference in values that occurs when examining different subjects from the same sample:
Random variation
Match the definition with the types of sampling. Obtaining a population where composing a sampling frame is severely inhibited:
Cluster sampling
Which of the following methods provides a sample that is most likely to be representative of the target population?
Simple random sampling
The sample includes adults over the age of 18, able to read and speak English, and hospitalized for their first abdominal surgery. What is this an example of?
Inclusion sampling criteria
A researcher asked nurses in a hospital to participate in a study that examined the leadership of the hospital. A total of 500 subjects were asked to participate, and 200 consented to be in the study. What does the sample in this study demonstrate?
Systematic variation
A researcher asked nurses in a hospital to participate in a study that examined the leadership of the hospital. A total of 500 subjects were asked to participate, and 200 consented to be in the study. What is the refusal rate for this study?
According to sampling theory, findings can be generalized to the
target population.
How can the adequacy of a quantitative study’s sample size best be evaluated?
Conducting a power analysis
Match the definitions with the types of sampling. List of every potential subject in the population:
Sampling frame
A researcher was conducting a phenomenological study of the lived experience of losing a limb. A convenience sampling method was used to obtain subjects. Subjects were recruited for the study until an equal number of males and females were obtained. The total sample was 14 (7 males and 7 females). What is the sampling method used in this study?
A researcher selected only people with a high intelligence quotient (IQ) to be in her study so that they would perform well on the multiple-choice tests administered to measure the subjects’ knowledge in the study. This study demonstrates which of the following?
Systematic variation in the sample
Which of the following is a type of nonprobability sampling?
Match the definitions with the types of sampling. Specific selection of subjects with certain characteristics by the investigator to be in the study:
Purposive sampling
Match the definitions with the types of sampling. Phenomenon that occurs when the selected subjects—measurement values vary in some way from those of the population:
Systemic variation
Match the definitions with the types of sampling. Technique used to select underrepresented groups in the population:
Quota sampling
The sample for a study was randomly selected from a list of registered nurses (RNs) obtained from the Board of Nurse Examiners (BNE) for Texas. The study had a cultural focus, so the final sample included 100 Caucasian, 100 Hispanic, and 100 African American RNs. What type of sampling method was used in this study?
Stratified random
Crystal structures, as found in the file
/*
No. 1
# Li2CdSb meta-GGA SCAN PBEsol geometry
data_Li2CdSb
_chemical_formula_sum 'Li6 Cd3 Sb3'
_cell_length_a 3.2195
_cell_length_b 3.2195
_cell_length_c 27.4623
_cell_angle_alpha 90.00
_cell_angle_beta 90.00
_cell_angle_gamma 120.00
_symmetry_space_group_name_H-M 'R -3 m'
_symmetry_Int_Tables_number 166
_symmetry_space_group_name_Hall '-R 3 2"'
loop_
_atom_site_label
_atom_site_fract_x
_atom_site_fract_y
_atom_site_fract_z
Li1 0.0000 0.0000 0.2473
Cd1 0.0000 0.0000 0.0000
Sb1 0.0000 0.0000 0.5000
# * ΔE_f (raw): -0.267 eV/atom
# * ΔE to the lowest computed polymorph: 160 meV per atom
# * E_tot: -18.380 eV per atom



No. 2
# SiHgBr2 meta-GGA SCAN PBEsol geometry
data_SiHgBr2
_chemical_formula_sum 'Si2 Hg2 Br4'
_cell_length_a 3.472
_cell_length_b 4.945
_cell_length_c 12.785
_cell_angle_alpha 90.00
_cell_angle_beta 90.00
_cell_angle_gamma 90.00
_symmetry_space_group_name_H-M 'I m m m'
_symmetry_Int_Tables_number 71
_symmetry_space_group_name_Hall '-I 2 2'
loop_
_atom_site_label
_atom_site_fract_x
_atom_site_fract_y
_atom_site_fract_z
Si1 0.000 0.000 0.000
Hg1 0.000 0.000 0.500
Br1 0.000 0.500 0.340
# * ΔE_f (raw): 0.058 eV/atom
# * ΔE to the lowest computed polymorph: 0 meV per atom
# * E_tot: -29.217 eV per atom



No. 3
# Re2Rh meta-GGA SCAN PBEsol geometry
data_Re2Rh
_chemical_formula_sum 'Re8 Rh4'
_cell_length_a 9.916
_cell_length_b 2.730
_cell_length_c 6.462
_cell_angle_alpha 90.00
_cell_angle_beta 104.08
_cell_angle_gamma 90.00
_symmetry_space_group_name_H-M 'C 1 2/m 1'
_symmetry_Int_Tables_number 12
loop_
_symmetry_equiv_pos_as_xyz
'x,y,z'
'-x,-y,-z'
'-x,y,-z'
'x,-y,z'
'x+1/2,y+1/2,z'
'-x+1/2,-y+1/2,-z'
'-x+1/2,y+1/2,-z'
'x+1/2,-y+1/2,z'
loop_
_atom_site_label
_atom_site_fract_x
_atom_site_fract_y
_atom_site_fract_z
Re1 0.031 0.000 0.306
Re2 0.139 0.500 0.026
Rh1 0.192 0.500 0.638
# * ΔE to the lowest computed polymorph: 44 meV per atom
# * formation energy: -0.116 eV/atom
# * E_tot: -58.771 eV per atom



No. 4
# Y2FeTe meta-GGA SCAN PBEsol geometry
data_Y2FeTe
_chemical_formula_sum 'Y4 Fe2 Te2'
_cell_length_a 4.476
_cell_length_b 4.958
_cell_length_c 8.106
_cell_angle_alpha 90.00
_cell_angle_beta 90.00
_cell_angle_gamma 90.00
_symmetry_space_group_name_H-M 'I m m m'
_symmetry_Int_Tables_number 71
_symmetry_space_group_name_Hall '-I 2 2'
loop_
_atom_site_label
_atom_site_fract_x
_atom_site_fract_y
_atom_site_fract_z
Y1 0.000 0.000 0.237
Fe1 0.000 0.500 0.500
Te1 0.000 0.500 0.000
# * ΔE_f (raw): -0.379 eV/atom
# * E_tot: -28.145 eV per atom



No. 5
# FeTcPb2 meta-GGA SCAN PBEsol geometry
data_FeTcPb2
_chemical_formula_sum 'Fe1 Tc1 Pb2'
_cell_length_a 3.458
_cell_length_b 4.256
_cell_length_c 5.174
_cell_angle_alpha 90.00
_cell_angle_beta 90.00
_cell_angle_gamma 90.00
_symmetry_space_group_name_H-M 'P m m m'
_symmetry_Int_Tables_number 47
loop_
_symmetry_equiv_pos_as_xyz
'x,y,z'
'-x,-y,-z'
'-x,-y,z'
'x,y,-z'
'x,-y,-z'
'-x,y,z'
'-x,y,-z'
'x,-y,z'
loop_
_atom_site_label
_atom_site_fract_x
_atom_site_fract_y
_atom_site_fract_z
*/
Match the definitions with the types of sampling. Securing individuals through social contacts for the study:
Network sampling
Match the definitions with the types of sampling. Subjects are not selected with probability sampling methods:
=====
Cs2CaScBr6 | PBE | relaxed

Properties
The calculation puts the total moment at 0.100 μB/atom. The crystal system is cubic. For the formation energy from raw total energies, the calculation gives -1.770 eV/atom.

Cell and atoms, written as POSCAR:
```
Cs2CaScBr6
1.0
7.981 0.000 0.000
0.000 7.981 0.000
3.990 3.990 5.643
Ca Cs Br Sc
1 2 6 1
Direct
0.500 0.500 0.000 Ca
0.250 0.750 0.500 Cs
0.750 0.250 0.500 Cs
0.756 0.244 0.000 Br
0.244 0.244 0.000 Br
0.244 0.756 0.000 Br
0.244 0.244 0.512 Br
0.756 0.756 0.000 Br
0.756 0.756 0.488 Br
0.000 0.000 0.000 Sc
```

~~~~~

Pm7SmAl4 | GGA-PBE | relaxed

```
Pm7SmAl4
1.0
7.0490 -2.8181 0.0000
7.0490 2.8181 0.0000
-6.0267 0.0000 8.8182
Pm Sm Al
7 1 4
Cartesian
0.0000 0.0000 0.0000 Pm
-1.0172 0.0000 5.6955 Pm
3.4030 0.0000 1.0697 Pm
2.4362 0.0000 5.3976 Pm
5.6351 0.0000 3.4206 Pm
4.6684 0.0000 7.7485 Pm
9.0886 0.0000 3.1227 Pm
7.0490 0.0000 0.0000 Sm
-3.8450 0.0000 6.7005 Al
0.4749 0.0000 2.9214 Al
7.5965 0.0000 5.8968 Al
11.9164 0.0000 2.1177 Al
```

Output
The calculation puts the formation energy at -0.069 eV per atom. The uncorrected energy is -53.768 eV per cell. The symmetry is C2/m, No. 12. The calculation puts the density of states at the Fermi level at 1.08 states/eV/atom. The total moment comes out at 0.021 μB/atom.

~~~~~

Here is crystalline CeGdCoPd at its relaxed geometry from Alexandria via LeMat-Bulk. Energies are from PBE.

Cell and atoms, written as extended XYZ:
```
4
Lattice="-3.6760 -2.4927 2.0995 0.2887 -4.8830 0.4557 0.6204 -2.0207 4.4347" Properties=species:S:1:pos:R:3 pbc="T T T"
Co -0.6917 -2.3491 1.7475
Ce -1.3834 -4.6982 3.4950
Gd 0.0000 0.0000 0.0000
Pd -2.0752 -7.0473 5.2424
```

DFT formation energy in eV/f.u.: -1.4
Mass density in g cm⁻³: 9.16
Final energy in eV per atom: -8.44
Space-group type: F-43m, No. 216

~~~~~

Entry 1:
# PBE-GGA AlSbW2, relaxed
# - relative energy among the computed polymorphs (meV per atom) = 482
data_AlSbW2
_space_group_name_H-M_alt 'I -4 2 d'
_space_group_IT_number 122
_space_group_name_Hall 'I -4 2bw'
_cell_length_a 4.015
_cell_length_b 4.015
_cell_length_c 19.077
_cell_angle_alpha 90.00
_cell_angle_beta 90.00
_cell_angle_gamma 90.00
loop_
_atom_site_label
_atom_site_type_symbol
_atom_site_fract_x
_atom_site_fract_y
_atom_site_fract_z
Al1 Al 0.000 0.000 0.000
Sb1 Sb 0.000 0.000 0.500
W1 W 0.202 0.250 0.125

***

Entry 2:
A plane-wave DFT calculation with PBE-GGA was carried out for an optimized crystal structure of Al2SbW.

```
data_Al2SbW
_space_group_name_H-M_alt 'R 3 m'
_space_group_IT_number 160
_space_group_name_Hall 'R 3 -2"'
_cell_length_a 3.0105
_cell_length_b 3.0105
_cell_length_c 31.1803
_cell_angle_alpha 90.00
_cell_angle_beta 90.00
_cell_angle_gamma 120.00
loop_
_atom_site_label
_atom_site_type_symbol
_atom_site_fract_x
_atom_site_fract_y
_atom_site_fract_z
Al1 Al 0.0000 0.0000 0.0000
Al2 Al 0.0000 0.0000 0.2602
Sb1 Sb 0.0000 0.0000 0.4752
W1 W 0.0000 0.0000 0.7354
```

***

Entry 3:
=====
Convenience sampling
A nurse researcher conducted a grounded theory study of the self-care behavior of patients diagnosed with type 2 diabetes. Ten subjects were selected because they were judged to have strong self-care behavior, and 10 subjects were selected because of their poor self-care behavior. What sampling method was used in this study?
Match the definitions with the types of sampling. The number of subjects who meet the criteria of the study:
Target population
A research article states that “participants were recommended by others already in the study.” What is this an example of?
Snowball sampling